We cant play the game with ret pallies running around wild, our range is less than some melee abilities and it relies on hitting the lottery to win games so ueah you dont see us
Big chinese symbol over your head and glowing bright blue with a big dumb cat that wasnât there before
At least the dispel is going (or being toned down). I havenât had nearly as much issue with the Fire Breath DoT getting dispelled as I thought I was going to this season, but hooooooooly jesus christ this rotational dispel bullhorse is actual madness. Especially with Ancient Flame being neutered having our Burnout engine ripped away with no thought is just devastating.
Correct me if Iâm wrong, but isnât there also at least a couple globals between when the damage starts and when it ends?
see this is the kind of player that needs to have its manila sham rage excised without anaesthesia
itâs so intensely troll that the devs gave the only defensive that can reliably and fully answer ret burst to other rets
Yeah, a few combos that have to happen first. Youâre generally already 3 seconds into the cd before dmg is actually dealt
A half-brained Ret can literally train any class. This idiocracy has to end NOW
Okay troll. There is a reason why nearly EVERY game I played tonight in 2s or RSS had a ret. Do you get that? Do you understand why they are good? All those ret palis didnât just get magically more skilled over the last couple weeks. The class is broken. This is why they are broken. I canât waste turtle the second wings happened assuming damage is going to kill me. Ret has more goes then I have defensives for. If I used a defensives the second wings happened every time I would lose every game. Rather, I have to try and mitigate damage as best as possible. The problem is⌠ret is killing people from 50% in a second. There isnât time to react to it and even if there is, I may not have a tool to counter it.
Do you seriously think taking more then 50% of someoneâs health in .3-.4s is reasonable?
Sorry, but if you have been doing arena since 2010 and your best is 2k, why are you even responding here? Maybe learn your own class first before you start telling other people how to play theirs.
The main issue is the frequency of it. Itâs far too often, way to long, and does way to much damage. And thats just among 1 of the plethora of issues ret has in its grossly broken state.
Where did you see this?
EDIT: found it
Yeah class is popular after a rework, so? They should just quit cause you donât want to see them?
Maybe instead of whining about Ret you should be whining about the problems your class has and get improvements.
My 2k rating is higher than 90% of people who play this game, the forums are also open to anyone with a subscription. You could go start your own âGladiator+â forums, I even got a name for you, âThe Crybaby Corner.â It fits since all you âGladiatorsâ seem to do is cry about other classes instead of getting good.
They should rework shaman next!
The majority of rets Iâm seeing are first time players.
Ok troll. Or we could talk about the outlier spec that is wrecking the ladder.
Getting good? Again, try getting good with ret first before you talk. Must suck to know youâre going to get nerfed after having accomplished nothing.
Itâs really difficult to make anything out of those screenshots without proper context. What were you doing while the ret was setting up their CDs? Where are your teammates?
Also worth noting that judgement of the pure is getting nerfed, so we really need to wait to see how Rets are after that nerf before we ask for more.
Even better, you want Blizzard to nerf them so these first time players just quit the game?
âTrollâ âTrollâ âTrollâ Iâm not trolling you, you just donât like real answers, sorry.
Try? I already am good, could care less about what your opinion of me is lol.
Itâs okay to be angry, but wasting your time throwing insults or even trying doesnât do you much good, I donât care about your opinion.
Are you though?
Not new players, just fotm chasers.
Ok troll.
2k isnât good enough for you to tell others to âget good.â Learn how to play your own spec first.
You care so little about my opinion that youâre posting in my thread and continue to respond. Good job captain.
Yes? By all definitions of the word, I am âgoodâ am I great, definitely not at PVP.
Thatâs not what you said though, you said new players, keep changing your story to fit your needs?
Iâm just recycling the advice you would give someone else if they were in here crying about your class.
I mean someone has to voice an opinion that differs from your crybaby echo chamber.
That is what I said. First time players. People playing ret for the first time. Not new players.
_Unrelated to this article: materials data_
____________
# Hg4PdAu
Computed PXRD pattern, Cu Kα. Input: the GGA-PBE geometry in Alexandria.
No peak broadening, texture or thermal motion is included.

Crystal structure
```
data_Hg4PdAu
_cell_length_a 6.034
_cell_length_b 9.840
_cell_length_c 4.883
_cell_angle_alpha 90.00
_cell_angle_beta 90.00
_cell_angle_gamma 90.00
_symmetry_space_group_name_H-M 'C m m m'
_symmetry_Int_Tables_number 65
_symmetry_space_group_name_Hall '-C 2 2'
loop_
_atom_site_label
_atom_site_fract_x
_atom_site_fract_y
_atom_site_fract_z
Hg1 0.245 0.000 0.000
Hg2 0.250 0.250 0.500
Pd1 0.000 0.000 0.500
Au1 0.000 0.500 0.500
```

Largest 8 diffraction maxima, in order of falling intensity, 15 to 90 degrees two-theta:
2θ/deg	intensity	(hkl)
39.61	100.0	2 2 1
36.53	31.2	0 4 0
36.82	30.5	0 0 2
25.71	30.2	0 2 1
67.80	25.2	2 6 1
52.83	21.9	0 4 2
68.19	20.6	2 2 3
18.03	13.7	0 2 0


# Nd7Er2Mg2
Calculated powder diffractogram, copper Kα. Input: a structure optimized by DFT (GGA-PBE).
Kinematic intensities with the Lorentz-polarization factor, no thermal factor.

Atomic structure:
```
11
Lattice="-1.8988 5.6939 8.5808 1.8988 -5.6939 8.5808 1.8988 5.6939 -8.5808" Properties=species:S:1:pos:R:3 pbc="T T T"
Nd 0.0000 0.0000 0.0000
Nd 1.8988 -3.0498 5.7912
Nd 0.0000 0.0000 5.5223
Nd 0.0000 2.6442 2.7896
Nd 1.8988 3.0498 5.7912
Nd 0.0000 0.0000 11.6394
Nd 0.0000 8.7437 2.7896
Er 1.8988 3.4215 0.0000
Er 0.0000 2.2724 8.5808
Mg 1.8988 0.0000 2.7881
Mg 0.0000 5.6939 5.7927
```

Peak list (6 most intense, 10 to 80 degrees two-theta, sorted by position)
- 24.7°, I 17
- 28.2°, I 36
- 31.3°, I 29
- 31.4°, I 19
- 32.4°, I 100
- 56.4°, I 18


This entry pairs a crystal structure of LiCeCoF6 with its computed powder X-ray diffraction pattern. Radiation: CuKα. Structure: a cell relaxed with PBE+U.
Intensities are scaled so that the largest is 100.

Crystal structure
```
data_LiCeCoF6
_chemical_formula_sum 'Li2 Ce2 Co2 F12'
_cell_length_a 5.4737
_cell_length_b 5.4737
_cell_length_c 9.2944
_cell_angle_alpha 90.00
_cell_angle_beta 90.00
_cell_angle_gamma 120.00
_space_group_name_H-M_alt 'P -3 1 c'
_space_group_IT_number 163
_space_group_name_Hall '-P 3 2c'
loop_
_atom_site_label
_atom_site_fract_x
_atom_site_fract_y
_atom_site_fract_z
Li1 0.0000 0.0000 0.0000
Ce1 0.3333 0.6667 0.2500
Co1 0.3333 0.6667 0.7500
F1 0.0220 0.3353 0.6248
```

Most intense lines, 5° ≤ 2θ ≤ 70°, by angle:
18.7 deg, 4.740 Å, rel. 53.1, hkl 1 0 0; 19.1 deg, 4.647 Å, rel. 77.6, hkl 0 0 2; 26.9 deg, 3.319 Å, rel. 59.3, hkl 1 0 2; 32.7 deg, 2.737 Å, rel. 34.1, hkl 1 1 0; 38.2 deg, 2.358 Å, rel. 100.0, hkl 1 1 2; 51.6 deg, 1.771 Å, rel. 56.9, hkl 2 -1 4

This entry pairs a crystal structure of Rb2CeCo3F12 with its computed powder X-ray diffraction pattern. Radiation: CuKα. Structure: a cell relaxed with PBE+U.
Intensities are scaled so that the largest is 100.

Crystal structure
```
data_Rb2CeCo3F12
_chemical_formula_sum 'Rb6 Ce3 Co9 F36'
_cell_length_a 7.6135
_cell_length_b 7.6135
_cell_length_c 17.6030
_cell_angle_alpha 90.00
____________
No one is crying about Survival.
Oh, got it. Saying anything about overpowered specs is crying. Reported for trolling.
Well, enjoy your continued nerfs.
Game is trash now. Ret players defend it but they know it is broken. Arena is completely unplayable. They need to TEST before they release this stuff